I’ve been using a Wacom digital pen for many years and have found over time that there are certain models that I enjoy more than others. The original Wacom Digital Paint Pen is a good model, and extremely easy to use and operate. There’s nothing worse than having to fiddle around with the fine lines of your artwork. But the latest model that I own, the N-series from artist Wacom, is a much nicer pen.
**Attached: data records**
<<<
Density functional theory data (GGA-PBE) for a geometry-optimized CsSiAgTe3 structure.

POSCAR file:
```
CsSiAgTe3
1.0
9.613 0.000 0.000
0.000 4.196 0.000
-4.199 0.000 9.874
Ag Te Cs Si
2 6 2 2
direct
0.447 0.750 0.406
0.553 0.250 0.594
0.648 0.250 0.876
0.244 0.250 0.408
0.352 0.750 0.124
0.032 0.250 0.864
0.756 0.750 0.592
0.968 0.750 0.136
0.728 0.250 0.277
0.272 0.750 0.723
0.838 0.750 0.867
0.162 0.250 0.133
```

Computed properties:
V	398.3	Å³/cell
density	5.43	Mg/m³
energy above the most stable polymorph in this dataset	0.0	kJ/mol of atoms
final energy	-40.42	eV for the cell shown
>>>
It’s a full circle tool that feels very natural in the hand. With its flat surface and the slight curve of the nib it nestles up against my finger like a glove. My fingers are just a bit too large for the standard oval grip of the original Wacom pens. So with the help of a friend, I actually got my stylus professionally modified so that it would fit comfortably in my hand. But I still prefer the convenience of the standard pen.
Unrelated to this text: calculated crystals:
____________
Record 1
A plane-wave DFT calculation with GGA-PBE was carried out for a relaxed BaLiTa crystal.

Lattice parameters (Å, degrees): 3.1082 3.1082 15.6927 90.00 90.00 90.00
Space group I4mm (No. 107)
Asymmetric unit:
Ba: 0.0000 0.0000 0.0000 (multiplicity 2)
Li: 0.0000 0.0000 0.6920 (multiplicity 2)
Ta: 0.0000 0.0000 0.3186 (multiplicity 2)

M_tot = 0.437 μB per cell
Fermi-level density of states = 4.55 states/eV/f.u.
energy relative to the lowest polymorph listed for this composition = 1.40 eV per formula unit
density = 7.12 g/cm³
formation energy = 0.90 eV per atom

***

Record 2
A plane-wave DFT calculation with GGA-PBE was carried out for a relaxed BaLiTa2 crystal.

Lattice parameters (Å, degrees): 6.9702 6.9702 6.9702 90.00 90.00 90.00
Space group Fm-3m (No. 225)
Asymmetric unit:
Ba: 0.0000 0.0000 0.0000 (multiplicity 4)
Li: 0.0000 0.0000 0.5000 (multiplicity 4)
Ta: 0.2500 0.2500 0.2500 (multiplicity 8)

M_tot = 0.000 μB per cell
Fermi-level density of states = 5.29 states/eV/f.u.
energy relative to the lowest polymorph listed for this composition = 4.00 eV per formula unit
density = 9.93 g/cm³
formation energy = 1.56 eV per atom

***

Record 3
A plane-wave DFT calculation with GGA-PBE was carried out for a relaxed BaLi2Ta crystal.

Lattice parameters (Å, degrees): 3.1083 3.1083 9.5845 90.00 90.00 90.00
Space group P4/mmm (No. 123)
Asymmetric unit:
Ba: 0.0000 0.0000 0.0000 (multiplicity 1)
Li: 0.5000 0.5000 0.2987 (multiplicity 2)
Ta: 0.0000 0.0000 0.5000 (multiplicity 1)

M_tot = 0.006 μB per cell
Fermi-level density of states = 4.94 states/eV/f.u.
energy relative to the lowest polymorph listed for this composition = 0.22 eV per formula unit
density = 5.96 g/cm³
formation energy = 0.72 eV per atom

***

Record 4
A plane-wave DFT calculation with GGA-PBE was carried out for a relaxed BaLi2Ta crystal.

Lattice parameters (Å, degrees): 8.0962 8.0962 6.1219 90.00 90.00 90.00
Space group I-42d (No. 122)
Asymmetric unit:
Ba: 0.0000 0.0000 0.0000 (multiplicity 4)
Li: 0.2225 0.2500 0.6250 (multiplicity 8)
Ta: 0.0000 0.0000 0.5000 (multiplicity 4)

M_tot = 0.002 μB per cell
Fermi-level density of states = 4.28 states/eV/f.u.
energy relative to the lowest polymorph listed for this composition = 1.82 eV per formula unit
density = 5.50 g/cm³
formation energy = 1.12 eV per atom

***

Record 5
A plane-wave DFT calculation with GGA-PBE was carried out for a relaxed BaLi2Ta crystal.

Lattice parameters (Å, degrees): 3.0793 5.5084 10.8019 90.00 90.00 90.00
Space group Imm2 (No. 44)
Asymmetric unit:
Ba: 0.0000 0.0000 0.0000 (multiplicity 2)
Li: 0.0000 0.0000 0.4751 (multiplicity 2)
Li: 0.0000 0.5000 0.7709 (multiplicity 2)
Ta: 0.0000 0.5000 0.2146 (multiplicity 2)

M_tot = 0.472 μB per cell
Fermi-level density of states = 4.75 states/eV/f.u.
energy relative to the lowest polymorph listed for this composition = 0.62 eV per formula unit
density = 6.02 g/cm³
formation energy = 0.82 eV per atom

***

Record 6
____________
The text goes on:
One of the things that is nice about using a stylus is that you can do a lot of intricate work without even trying. For example, if you are drawing or painting you can erase unwanted lines, create perspective, or even erase things that aren’t wanted in the final piece. With a traditional pen and paper combined, those intricate tasks are not possible. But with a pen and a Wacom Pro plugged into the USB port of my laptop, I am able to do all of these and more.
So, can a pencil eraser be used as a stylus? Well, if you don’t mind holding on to a small pen that feels nice, then yes, it can. But if you really want to become proficient at sketching and drawing, then it will be much faster and easier to draw or paint by using a brush or even finger art tools. Of course, I have always held a pencil and have tried to use it as a stylus. It felt strange at first, but once I got used to it I actually found it quite nice.
The main question is whether a pencil eraser can also be used as a mouse for precision input on computer keyboards. I did some research and found that there are several different models of stylus pens with a USB connection that include this functionality. However, my research was mostly directed towards the Beach Technology Intellicount, which are not my most expensive pen, but my favorite. My results were not very satisfying, but after doing several searches I found what I needed. In fact, I purchased this pen along with a USB cord and it works great for inputting text and getting measurements. The only issue is that the size of the USB port is too small for a decent sized eraser.
~~~
First-principles (GGA-PBE) data for a geometry-optimized Ti3SeN structure, as listed in Alexandria via LeMat-Bulk.

The calculation puts the energy above the most stable polymorph in this dataset at 0 meV per atom. The uncorrected formation energy comes out at -6.09 eV/f.u.

The structure belongs to space group Cmcm (No. 63); the cell edges are 3.241, 10.679 and 7.868 Å and the angles 90.00°, 90.00° and 90.00°. The asymmetric unit holds Ti at (0.000, 0.050, 0.250), Ti at (0.000, 0.375, 0.055), Se at (0.000, 0.260, 0.750) and N at (0.000, 0.000, 0.000).


First-principles (GGA-PBE) data for a geometry-optimized TiVSe2N structure, as listed in Alexandria via LeMat-Bulk.

The calculation puts the energy above the most stable polymorph in this dataset at 281 meV per atom. The uncorrected formation energy comes out at 0.92 eV/f.u.

The structure belongs to space group P4/mmm (No. 123); the cell edges are 5.037, 5.037 and 3.698 Å and the angles 90.00°, 90.00° and 90.00°. The asymmetric unit holds Ti at (0.000, 0.000, 0.000), V at (0.500, 0.500, 0.500), Se at (0.000, 0.500, 0.000) and N at (0.000, 0.000, 0.500).


First-principles (GGA-PBE) data for a geometry-optimized TiVSeN structure, as listed in Alexandria via LeMat-Bulk.

The calculation puts the energy above the most stable polymorph in this dataset at 263 meV per atom. The uncorrected formation energy comes out at -3.10 eV/f.u.

The structure belongs to space group Pmmm (No. 47); the cell edges are 3.596, 3.926 and 4.059 Å and the angles 90.00°, 90.00° and 90.00°. The asymmetric unit holds Ti at (0.000, 0.000, 0.000), V at (0.000, 0.500, 0.500), Se at (0.500, 0.500, 0.000) and N at (0.000, 0.000, 0.500).


First-principles (GGA-PBE) data for a geometry-optimized TiVSeN structure, as listed in Alexandria via LeMat-Bulk.

The calculation puts the energy above the most stable polymorph in this dataset at 24 meV per atom. The uncorrected formation energy comes out at -4.06 eV/f.u.

The structure belongs to space group R3m (No. 160, hexagonal axes); the cell edges are 3.2078, 3.2078 and 17.3056 Å and the angles 90.00°, 90.00° and 120.00°. The asymmetric unit holds Ti at (0.0000, 0.0000, 0.0000), V at (0.0000, 0.0000, 0.7788), Se at (0.0000, 0.0000, 0.2199) and N at (0.0000, 0.0000, 0.3937).


Number 1: D(E_F) 4.35 states/eV/f.u.. Number 2: D(E_F) 3.50 states/eV/f.u.. Number 3: D(E_F) 3.63 states/eV/f.u.. Number 4: D(E_F) 1.79 states/eV/f.u..


1.
CrAsPt2 after structural relaxation, computed with PBE-GGA.

It has space group Imm2 (No. 44), with a = 3.459 Å, b = 4.280 Å, c = 8.486 Å, α = 90.00°, β = 90.00° and γ = 90.00°. The distinct sites, in fractional coordinates, are Cr at (0.000, 0.000, 0.000), As at (0.000, 0.500, 0.263), Pt at (0.000, 0.000, 0.547) and Pt at (0.000, 0.500, 0.780).

As for the magnetization: 3.47 μB/f.u. As for the energy of formation: -0.098 eV/atom.



2.
KRuO2 after structural relaxation, computed with PBE-GGA.
~~~
### Here the piece continues
Is a pencil eraser a stylus? Only you can decide. They do make a great addition to any collection and I would recommend looking into some models if you have never used one before. As long as you do not have a full sized keyboard to get leverage from, they will do the job for you.